Technology as a tool to achieve the Perfect Store

Proper distribution and availability are two core elements of marketing execution—the basics if you will—that turn your marketing strategy into action and bring the most fundamental goals and tactics to life. Plenty of other vital elements play an essential role in improving your company’s bottom line. Still, as a brand, it is crucial to focus on the basics and ensure that the core elements of execution are correct.

Store execution is known to drive sales, cut costs, cut risks, and increase customer satisfaction. That said, turning a profit relies on details and organization.

That said, achieving “Perfect Store” programs has been the main profit driver. What does it mean?

Achieving a Perfect Store

A Perfect Store is one in which consumers can find the right products in the right location, presented in the best way to influence buying behavior while granting a quality customer experience

Think of your local supermarket and the shoppers; they all have their preferences, with some products they want to buy already in mind when they enter the store. Are they doing their weekly shop, or have they come in for a specific item? Studies show that only one-third of in-store purchases are pre-planned. Product placement and perfect store execution are vital in attracting shoppers. They concern the so-called Key Performance Indicators (KPIs), criteria that a product must meet.

What do KPIs include?

  • Distribution availability on the shelf

  • Promotional execution 

  • Sufficient shelf space 

  • Customer satisfaction

  • Internal Process Quality 

  • Financial Performance Index

The piece is interrupted by molecular data.
Record 1
Here is a cluster of 15 separate species, C36H72N11O4 in total in a non-equilibrium geometry from the OMol25 dataset. Energies are from the ωB97M-V functional and the def2-TZVPD basis.

The geometry in XYZ format:
```
123
Properties=species:S:1:pos:R:3:forces:R:3:mulliken_charge:R:1
C 2.4223 -4.5959 -0.6110 3.35 -3.06 0.48 -1.1970
C 1.2903 -3.6899 -0.9480 -0.45 2.19 -3.00 0.5617
C 0.9593 -2.5669 0.0840 1.38 -1.55 -1.15 -0.8689
N -0.0977 -1.6299 -0.3390 0.99 3.93 2.00 0.9752
C -1.3187 -2.2569 -0.6770 -1.06 -6.73 0.23 -0.6542
C 0.3523 -0.6669 -1.3930 -0.30 0.84 -2.40 -0.2593
C -0.5427 0.6231 -1.2870 2.14 1.19 -2.44 0.0341
C -0.9927 0.7291 0.1120 0.91 0.07 2.31 1.5078
C -0.4017 -0.5589 0.7930 -8.54 -1.68 -3.70 -2.2618
H 2.3443 -5.0459 0.5030 0.53 1.32 -2.50 0.1643
H 3.5253 -4.2069 -0.9220 -2.55 -0.20 1.51 0.2493
H 2.5083 -5.5739 -1.2830 -1.00 1.91 1.24 0.3081
H 0.4233 -4.2609 -1.2430 -0.43 -0.34 0.45 0.3995
H 1.5393 -3.1249 -1.9750 -0.35 -1.02 2.20 -0.4405
H 1.9413 -2.1179 0.2420 -0.47 0.84 0.17 0.2278
H 0.5973 -2.9519 0.9930 -0.21 -0.88 1.28 0.4297
H -2.1797 -1.7059 -0.5880 -1.60 2.34 -1.05 0.4157
H -1.6577 -2.9759 0.1690 1.35 0.75 -0.74 -0.0731
H -1.2727 -3.0669 -1.5470 0.02 2.64 1.42 0.0333
H 0.1763 -1.2369 -2.3720 0.79 1.24 1.18 0.1625
H 1.3853 -0.2809 -1.2250 -0.52 -1.24 -0.11 0.1099
H -1.3967 0.5211 -1.9170 -0.52 -0.05 -0.68 -0.2889
H 0.0263 1.5861 -1.7150 -1.02 -2.35 0.96 -0.1324
H -2.0547 0.7241 0.1150 -1.04 -0.03 0.34 -0.6094
H -0.6767 1.6801 0.6860 -0.25 -1.58 -0.83 -0.1610
H -0.9487 -0.8519 1.7090 -0.76 -1.04 -1.03 0.2950
H 0.3343 -0.3039 1.2610 9.63 2.50 4.10 1.6838
C -1.3417 -3.6579 3.6620 0.39 -12.41 2.04 0.2659
C -1.2727 -4.6979 2.5720 -0.63 9.74 9.06 0.3545
N -1.2547 -5.4629 1.8210 0.26 -8.61 -8.70 -0.4205
H -2.3217 -3.5869 3.9820 -1.85 -0.62 1.66 0.5323
H -0.4997 -3.9889 4.3030 -1.09 0.47 0.49 0.2459
H -1.1847 -2.8359 3.3700 2.93 11.52 -4.59 -0.8626
C 1.9573 -3.1049 -4.8790 4.64 -0.72 3.14 -0.5157
C 2.7273 -2.1559 -3.9720 1.09 4.38 2.82 0.4783
N 3.2333 -1.3739 -3.1980 -2.49 -4.37 -4.07 -0.4977
H 0.9663 -3.1799 -4.6610 -2.92 0.60 0.34 0.0849
H 2.2503 -3.0389 -5.8950 0.14 0.05 -0.80 0.3622
H 2.3773 -4.0169 -4.3490 -0.44 0.11 -1.43 0.1570
C -0.2507 0.0981 6.9780 -3.01 -1.58 -6.27 -1.1950
C 0.0493 -0.4399 5.5010 -0.39 2.49 6.68 0.3110
N 0.2313 -0.7779 4.4470 0.45 -1.15 -3.39 -0.2683
H 0.2233 -0.2199 7.7790 2.54 -2.66 3.18 0.4334
H -0.2527 1.0971 7.0930 0.91 3.89 -0.74 0.3931
H -1.3197 -0.0129 7.0380 -0.54 -0.97 0.43 0.3275
C -2.7887 1.2461 3.6530 -2.64 2.69 0.74 0.5907
C -3.3387 -0.0809 4.2180 1.28 3.16 -0.63 0.1840
N -3.7687 -1.0339 4.6850 -0.07 -0.50 -0.04 -0.4781
H -2.8527 1.2741 2.5580 0.06 -0.29 0.33 -0.3741
H -3.4327 2.3451 3.9750 1.15 -3.80 -0.74 0.3782
H -1.8237 1.6441 3.9640 0.30 -1.19 0.19 -0.2858
C -0.0217 4.0041 -5.3680 -2.82 -1.77 3.50 -0.8163
C 0.5973 2.6691 -4.7110 1.84 -0.89 0.46 0.5116
N 1.1583 1.7181 -4.2450 -2.74 4.23 -2.00 -0.5062
H 0.4563 4.4791 -6.1430 2.23 0.46 -1.56 0.4207

If your brand performs well with all these criteria, the execution is successful, driving sales and maximizing earnings.  

The role of technology in optimizing KPIs

Establishing KPIs to measure, track, calculate, and evaluate business performance is crucial for your business. In the last decade, technology has been increasingly used to optimize these KPIs, helping brands achieve a perfect Store. In addition, it has transformed marketing, as there are many technological solutions for retail mapping execution.

One example is using AI-powered image recognition, which converts shelf photos into data points, replacing manual scanning through thousands of pictures to find the best performing using intelligent software. It can even classify images based on specific trends and use them in several contexts. 

Start with the basics.

Although marketing technology is becoming more accessible, we understand it is a universe that can sometimes be overwhelming. Technology allows us to track so many performance metrics that when the “what can we do with so much data?” question sparks in a conversation, our advice is to start with the basics. Beginning with a simple way to organize the basics is key to reaching for advanced technologies.

As we know, COVID-19 poses a considerable challenge for all kinds of businesses. It forced brands to reinvent themselves, redesign their business models, understand how to operate from virtuality, and, above all, go back to basics.

<<<
DFT (ωB97M-V with the def2-TZVPD basis set) results for C23H16AsO5Zn as an isolated structure.

Geometry as XYZ:
```
46
C23H16AsO5Zn, DFT ωB97M-V with the def2-TZVPD basis set
O -0.367 -0.091 -2.880
C 0.043 0.017 -1.854
Zn 1.742 0.544 -0.603
O 4.389 0.166 -2.347
C 3.384 0.327 -1.799
C -4.061 -0.595 -1.345
O -4.720 -0.354 -0.486
C 1.027 -1.196 0.408
O 0.712 -2.310 0.489
C 0.323 2.103 -0.095
O -0.174 3.144 -0.244
H -3.030 -0.542 -1.634
C 0.562 4.183 4.787
C 1.287 4.177 3.588
C 1.393 3.007 2.833
C 0.736 1.869 3.299
C 0.090 1.816 4.534
C -0.007 3.001 5.269
As 0.915 0.239 2.251
C 2.693 -0.354 2.834
C 3.761 -0.509 1.944
C 5.016 -0.874 2.439
C 5.196 -1.042 3.818
C 4.141 -0.811 4.707
C 2.880 -0.456 4.216
C -0.226 -1.032 3.208
C 0.277 -2.295 3.551
C -0.540 -3.175 4.257
C -1.892 -2.857 4.484
C -2.411 -1.658 4.003
C -1.575 -0.726 3.362
H 0.484 5.103 5.367
H 1.774 5.084 3.230
H 1.920 2.991 1.871
H -0.389 0.898 4.881
H -0.530 2.985 6.224
H 3.609 -0.381 0.858
H 5.846 -1.012 1.751
H 6.178 -1.325 4.201
H 4.287 -0.917 5.785
H 2.049 -0.290 4.896
H 1.321 -2.549 3.362
H -0.136 -4.118 4.622
H -2.548 -3.577 4.970
H -3.470 -1.409 4.139
H -1.956 0.246 3.056
```

Spin multiplicity = 1
HOMO level (alpha / beta) = -0.3634 / -0.3561 Ha
Net charge = +1
HOMO-LUMO gap (alpha / beta) = 5.2 / 5.2 eV

Electronic structure analysis, Löwdin charges in units of e: atom 1 (O): 0.207, atom 2 (C): -0.052, atom 3 (Zn): 0.370, atom 4 (O): 0.158, atom 5 (C): -0.002, atom 6 (C): -0.091, atom 7 (O): 0.100, atom 8 (C): -0.293, atom 9 (O): 0.135, atom 10 (C): -0.163, atom 11 (O): 0.093, atom 12 (H): 0.010, atom 13 (C): -0.061, atom 14 (C): -0.064, atom 15 (C): -0.122, atom 16 (C): -0.368, atom 17 (C): -0.100, atom 18 (C): -0.059, atom 19 (As): 1.292, atom 20 (C): -0.357, atom 21 (C): -0.118, atom 22 (C): -0.066, atom 23 (C): -0.061, atom 24 (C): -0.051, atom 25 (C): -0.097, atom 26 (C): -0.385, atom 27 (C): -0.111, atom 28 (C): -0.058, atom 29 (C): -0.065, atom 30 (C): -0.066, atom 31 (C): -0.119, atom 32 (H): 0.113, atom 33 (H): 0.113, atom 34 (H): 0.088, atom 35 (H): 0.098, atom 36 (H): 0.113, atom 37 (H): 0.043, atom 38 (H): 0.110, atom 39 (H): 0.114, atom 40 (H): 0.116, atom 41 (H): 0.107, atom 42 (H): 0.105, atom 43 (H): 0.112, atom 44 (H): 0.111, atom 45 (H): 0.115, atom 46 (H): 0.109
>>>

The pandemic brought concepts as essential for marketing as distribution and availability back into the spotlight, emphasizing the importance of closely monitoring them. 

How can a business correctly implement technology?

Start by assessing the usability of the data. What is the point of gathering it? How can you benefit from it? How can you process the results? What can you do with this information at HQ and/or the store? Who will work with it?

It is essential to analyze the role played by this information in distribution, availability, and the business itself. Is the company prepared to use this data constructively? What resources are available to process, design, and implement the information? It is helpful to think of this technology as an intrinsic tool, but the business must work in tandem with it.

Translating data into improvement

Once you have assessed the usability of the data, the next step is to translate it into improvement. There is no point in having the latest technology tools to gather large amounts of data if you do not categorize it, analyze it, and then present it in a way that allows you to develop improvement strategies for your business. 

At AmartSpotter, we have those tools to help your business grow, solve problems effectively, and be competitive in the marketplace.

Read more about the benefits of crowdsourcing in retail: